2023 has been another great year of providing help and hope to fellow Floridians facing homelessness. For 2024, we wish for more opportunities for health and happiness for those we serve. Your generosity has brought promise to real people who are in the process of recovering their dreams and forging a better life.
Here are people whose lives you’ve touched this year through your investments:
• Richard lives in a nice apartment located in Orlando and enjoys the outdoors. Before Pathways, he was employed but not making enough to afford an apartment. Instead, his home was a campsite in the woods. Alcohol abuse was also a personal challenge. With the help of the Pathway’s team, he has lived in an apartment for over six years and is connected to services. Today, he doesn’t have to worry about items being stolen from his tent. He pays his bills, makes good decisions, and reconnects with his mother. His next goal is to find a part-time job while maintaining a healthy lifestyle.
• James likes to play chess, read, and learn new things. The 76-year-old credits his involvement with Pathway Homes for saving his life. Prior to Pathway Homes, James—along with his girlfriend who was in poor health—was sleeping on sidewalks and park benches. Pathway Homes helped them find housing, and she was able to pass with the dignity of having a home. With the support of Pathway Homes and the housing first model, he began changing behaviors, learning to communicate better, and actively managing his own health. He developed supportive relationships within the community and rekindled a relationship with his family. Having a home was the starting point.
By removing barriers, helping them get housing, access to community-based healthcare, and other supportive services, Richard, James, and so many more have a chance to build their futures and fulfill their dreams. Pathway Homes has enabled hundreds of homeless individuals and families in Central Florida to access affordable housing and residential case management to help them recover their lives.
Our holiday wish is to help even more individuals thrive—find their voices, have hope, and achieve their potential. With your continued support, we can. Please see our wish list that captures some ways you can help defray the costs of moving those we serve move into housing.
Please see our wish list below that captures some of our needs. Donate below and enter an amount equal to one of the wish list gift amounts – or pick an amount of your choosing.
With gratitude,
Sylisa Lambert-Woodard, EdD, LCSW, LSATP, MAC
CEO and President
Holiday Wish List 2023
1. Sponsor a Move ($500-$700) Help an individual or family move into their new home by helping to cover mover cost. Moving expenses can vary depending on the travel distance, amount of furniture to be moved, and whether the unit is an upstairs or downstairs unit.
2. Utilities and More ($100-$400) There are times when participants need a helping hand with upfront utility deposits, help to resolve an outstanding bill, or just a little support with paying a higher than usual bill. Removing these barriers assists participants with maintaining their housing.
3. Home Furnishings ($400) Help to purchase furnishings from one of our partnering agencies such as; beds, dinette tables, chairs, sofas, end tables, chests, etc.
4. Household Items ($100) When you first move into a new home, there are some additional items you will need to help make home feel like home; bath towels, garbage cans, brooms, mops, shower curtains, toaster ovens, welcome mats, etc. All of these items and more are the little things that are sometimes overlooked.
5. Cleaning Products and toiletries ($50) Taking care of your unit and you helps promote safety and wellness. Items such as dish soap, bar soap, toothpaste, deodorant, laundry detergent, toilet paper, cleaning products for bathroom and kitchen, bath towels, shower curtain, etc.
6. Storage Fees ($100-$300) For those moments participants are in between homes, they are in need to store their personal items and furnishings that they’re unable to bring into bridge housing. Paying storage fees allows participants to not lose any of their possessions as they often sometimes fell victim to when they experienced homelessness.
7. Gas Cards, Gift Cards, Bus passes ($50) We promote sustainability and independent living skills to enable participants to navigate and access resources within their communities. Being on a fixed income can create hardships when it comes to maintaining transportation and managing food expenses.
The page is interrupted by quantum chemistry results =
<<<
1.
Here is an isolated molecule of C12H14O in a non-equilibrium geometry from the Open Molecules 2025 dataset. Energies are from the ωB97M-V functional and the def2-TZVPD basis.

Each line ends with the Mulliken charge.
Geometry (Å):
C  -3.53  -0.13  -0.27  -0.47
C  -3.09  -0.79  0.87  -0.50
C  -2.70  0.81  -0.87  -0.62
C  -1.86  -0.51  1.42  -0.57
C  -1.45  1.09  -0.33  -0.38
C  -1.00  0.44  0.83  1.10
C  2.17  1.72  0.15  -0.45
C  1.13  1.82  0.96  -0.46
C  2.60  0.41  -0.47  -0.76
C  0.29  0.69  1.37  -0.89
C  1.78  -0.75  -0.02  0.81
C  0.82  -1.37  -0.98  -1.55
O  2.37  -1.54  0.92  -0.54
H  -4.50  -0.34  -0.69  0.38
H  -3.74  -1.52  1.35  0.38
H  -3.02  1.33  -1.76  0.38
H  -1.54  -1.02  2.32  0.36
H  -0.82  1.83  -0.79  0.39
H  2.77  2.58  -0.11  0.42
H  0.87  2.79  1.37  0.36
H  2.54  0.50  -1.56  0.30
H  3.65  0.23  -0.20  0.41
H  0.53  0.26  2.33  0.36
H  0.15  -0.61  -1.39  0.30
H  0.21  -2.14  -0.50  0.43
H  1.37  -1.83  -1.81  0.41
H  1.78  -2.27  1.17  0.38

## Properties
HOMO (spin up / spin down) = -6.700 / -6.666 eV
LUMO (spin up / spin down) = 0.626 / 0.272 eV
Orbital gap (spin up / spin down) = 7.326 / 6.938 eV
Energy above the lowest of the compared OMol25 structures with the same formula, charge and spin = 30.28 kcal/mol


2.
Here is a structure of composition C3H9ClOPS in a non-equilibrium geometry from the Open Molecules 2025 dataset. Energies are from the ωB97M-V functional and the def2-TZVPD basis.

Each line ends with the Mulliken charge.
Geometry (Å):
C  0.79  -2.26  0.75  -0.73
C  0.58  0.56  -1.71  -0.89
C  -0.12  1.87  0.92  -0.91
O  0.80  -0.81  0.72  -0.32
P  -0.05  0.29  -0.02  0.72
S  -2.57  -0.79  -0.35  0.08
Cl  -3.84  0.75  -0.07  -0.06
H  0.98  -2.69  -0.18  0.38
H  0.02  -2.81  1.37  0.32
H  1.61  -2.56  1.36  0.31
H  1.49  0.10  -1.91  0.39
H  0.75  1.65  -1.76  0.36
H  -0.26  0.19  -2.48  0.31
H  0.83  1.99  1.57  0.35
H  -0.95  1.86  1.61  0.34
H  -0.05  2.67  0.16  0.36

## Properties
HOMO = -13.276 eV
LUMO = -5.900 eV
Total charge = +1
Orbital gap = 7.377 eV
Energy above the lowest of the compared OMol25 structures with the same formula, charge and spin = 39.81 kcal/mol


3.
Here is a cluster of 2 separate species, C20H34N5O7S2 in total in a non-equilibrium geometry from the Open Molecules 2025 dataset. Energies are from the ωB97M-V functional and the def2-TZVPD basis.

Each line ends with the Mulliken charge.
Geometry (Å):
C  4.96  -0.02  -1.71  -1.29
C  3.84  -1.02  -1.41  -0.12
S  3.48  -2.06  -2.86  -0.15
C  2.69  -3.51  -2.09  -0.96
C  1.23  -3.76  -2.48  0.96
N  1.11  -4.39  -3.79  -0.65
C  1.19  -3.63  -4.76  0.69
O  1.42  -3.02  -5.71  -0.41
O  0.86  -4.85  -1.58  -0.50
C  0.48  -4.29  -0.40  0.45
O  0.42  -4.82  0.65  -0.53
O  0.16  -2.98  -0.65  -0.50
C  0.13  -2.76  -2.07  1.46
C  -1.26  -3.30  -2.54  -1.64
C  -2.33  -3.18  -1.45  0.21
S  -4.02  -3.41  -2.09  -0.30
C  -4.80  -2.07  -1.26  0.67
N  -4.70  -1.80  0.00  -0.27
N  -5.44  -0.64  0.18  -0.48
C  -5.92  -0.31  -0.95  0.03
>>>
Here the page continues =
8. Rental Insurance, Pest Control, Landscaping ($100-$250) In addition to rent and utilities, there are additional expenses that participants may be responsible for and need support to pay for these additional costs.
See this list as a pdf that can be printed and shared with others.